Hey, bear with me a minute. Yes, it’s another AR review. And yes, it’s another CMMG, which you already know I think highly of. If you have watched recent reviews on the channel, I’ve been highly impressed with others from the line up. This new test model features all the same great whiz bangs as the MK47 we covered just a few months back, or the Mk17 and Mk10 we covered recently. Let’s get this out of the way- CMMG built oversized charging handle, available in a variety of colors at no extra cost, excellent build quality, fastback buttstock, the works. Cool?

┌──
1.
Compound: Ba3GaN3
Source: the Materials Project database
Functional: r²SCAN
Structure: relaxed

Total energy = -245.60 eV for the cell shown
Formation enthalpy at 0 K = -4.5 eV/f.u.
Crystal system = hexagonal

a = 8.0799 Å, b = 8.0799 Å, c = 5.7914 Å
α = 90.00°, β = 90.00°, γ = 120.00°
Last column: nearest neighbours and their distance in Å.
Space group P6_3/m (No. 176)
Unique sites:
Ba: 0.0692 0.3619 0.2500  4 N 2.70-2.92
Ga: 0.3333 0.6667 0.7500  3 N 1.92
N: 0.1092 0.4183 0.7500  1 Ga 1.92

---

2.
Compound: Ba6Nd2Ga4O15
Source: the Materials Project database
Functional: r²SCAN
Structure: relaxed

Total energy = -857.57 eV for the cell shown
Formation enthalpy at 0 K = -75.6 eV/f.u.
Crystal system = monoclinic

a = 8.1048 Å, b = 6.0523 Å, c = 18.7545 Å
α = 90.00°, β = 91.00°, γ = 90.00°
Last column: nearest neighbours and their distance in Å.
Space group P2/c (No. 13)
Unique sites:
Ba: 0.0000 0.1595 0.2500  6 O 2.70-2.98
Ba: 0.0032 0.2564 0.9210  2 O 2.54-2.77
Ba: 0.4704 0.2541 0.9081  7 O 2.74-2.99
Ba: 0.5000 0.2094 0.2500  4 O 2.67-2.77
Nd: 0.2544 0.2468 0.0907  6 O 2.30-2.44
Ga: 0.2541 0.2453 0.4400  4 O 1.86-1.88
Ga: 0.2719 0.2831 0.7354  4 O 1.82-1.88
O: 0.0369 0.2617 0.4073  1 Ga 1.86
O: 0.1923 0.1703 0.8178  1 Ga 1.82
O: 0.2276 0.4413 0.1991  1 Ga 1.83
O: 0.2482 0.0735 0.6621  1 Ga 1.88
O: 0.2637 0.0147 0.9929  1 Ga 1.86
O: 0.2681 0.4766 0.5068  1 Ga 1.88
O: 0.4481 0.2675 0.3892  1 Ga 1.86
O: 0.5000 0.2928 0.7500  2 Ga 1.86

---

3.
Compound: Ba6Tm2Ga4O15
Source: the Materials Project database
Functional: r²SCAN
Structure: relaxed

Total energy = -884.84 eV for the cell shown
Formation enthalpy at 0 K = -77.8 eV/f.u.
Crystal system = monoclinic

a = 7.9393 Å, b = 5.9606 Å, c = 18.4722 Å
α = 90.00°, β = 91.45°, γ = 90.00°
Last column: nearest neighbours and their distance in Å.
Space group P2/c (No. 13)
Unique sites:
Ba: 0.0000 0.1764 0.2500  8 O 2.74-3.00
Ba: 0.0009 0.2542 0.5784  2 O 2.54-2.82
Ba: 0.4747 0.2494 0.9106  9 O 2.76-3.08
Ba: 0.5000 0.2215 0.2500  7 O 2.69-2.94
Tm: 0.2532 0.2483 0.0894  6 O 2.18-2.33
Ga: 0.2543 0.2465 0.4424  4 O 1.86-1.89
Ga: 0.2700 0.2704 0.7323  4 O 1.81-1.87
O: 0.0303 0.2531 0.4105  1 Ga 1.86
O: 0.1882 0.1650 0.8163  1 Ga 1.81
O: 0.2226 0.4631 0.1863  1 Ga 1.84
O: 0.2540 0.0410 0.6634  1 Ga 1.87
O: 0.2660 0.4888 0.5080  1 Ga 1.89
O: 0.2669 0.0109 0.9999  1 Ga 1.87
O: 0.4551 0.2645 0.3930  1 Ga 1.86
O: 0.5000 0.3047 0.7500  2 Ga 1.86

---

4.
Compound: BaGa2Pt2
Source: the Materials Project database
Functional: r²SCAN
Structure: relaxed

Total energy = -627.58 eV for the cell shown
Formation enthalpy at 0 K = -4.5 eV/f.u.
Crystal system = monoclinic

a = 8.4483 Å, b = 6.6714 Å, c = 8.2192 Å
α = 90.00°, β = 95.65°, γ = 90.00°
Last column: nearest neighbours and their distance in Å.
Space group P2_1/c (No. 14)
Unique sites:
Ba: 0.2342 0.1110 0.0009  5 Pt 3.30-3.67, 6 Ga 3.50-3.69
Ga: 0.0744 0.5760 0.8747  4 Pt 2.46-2.56, 1 Ga 2.71
Ga: 0.4406 0.6538 0.1905  4 Pt 2.44-2.50
└──

Good. Because the actual feature this week isn’t the gun, it’s the caliber. Some of you guys are also tired of new calibers, which I kinda get. It’s a stupid problem to have if you grew up shooting in say, the 90’s. We were so busy fighting magazine bans and bayonet lug grabbers that we were happy to get 77 Grain 5.56 in an AR platform. And maybe a round handguard DMPS large frame in 308, that worked most of the time. (Fudd rant over- we also walked to school in the snow, uphill both ways.) But the last 10 years especially have been whiz-bang caliber after whiz-bang caliber, many of which die on the vine due to lack of enthusiasm. But this one, in my opinion, is absolutely worthy of your consideration.

Now 350 Legend is a niche caliber, no doubt about that. Winchester developed it and introduced it specifically as a high-performance round for places that a straight wall cartridge is required for hunting. Michigan, Ohio, and Iowa come to mind immediately, and you may think that is a very limited segment of the population to warrant an entirely new cartridge. If that is the case, you have obviously never spent a fall in the woods around those parts. The number of deer hunters just in those three states could easily support this caliber alone.

For its required design, the 350 Legend is an impressive beast. If we ignore the straight wall needs, as in we live in a state that lets us use big boy rifles, the most ready comparison is to 300 AAC/Blackout. Which is a fair match up, considering how popular 300 Blackout has become in the AR platform. And apples to apples, the 350 Legend absolutely trounces Blackout in most metrics.

We cannot and should not ignore the reason 300 Blackout was developed. If we are being frank, it was ground up designed to shoot human beings at across the room distances, preferably from a short barrel and suppressed M-4 rifle. A task it performs quite well. But it does have limitations when we try and shoehorn it into a hunting role. For one, as a CQB weapon, it is acceptable to need a double or triple tap to do the job. (Or 7-15 bullets if you are using 5.56, and that is actual military doctrine.) With animals, due to both ethics and distance, we are really looking for both; one shot and quick.

And that is the rub. 300 AAC is notoriously underpowered for animals, which also are generally tougher than humans. Any hog hunter out there will tell you that Blackout is not the magic, and I’ve personally had one walk-off a 95-grain solid copper projectile at supersonic speeds. While bullet selection is improving, most of what we had with 300 AAC “hunting” rounds were 308 projectiles, shoved into a shorter case. Those 308 rounds were not designed to expand at the relatively paltry speed of Blackout, often even at the muzzle. Winchester has fixed this with the 350 Legend, from day one designing its projectiles to expand at realistic caliber velocity.

350 Legend also pushes a bigger bullet, both in diameter and mass. Diameter does matter, as anyone that has switched from 30 caliber to 6.5 for hunting will tell you. Once again, a case of what works on humans at distance, may not be right for deer. For comparison sake, a common 300 AAC factory load is a 125-grain bullet at 2,215 feet per second. 350 Legend? Well, our Hornady Interlock American Whitetail pushes a 170-grain bullet at 2200 FPS. For the same size gun, that is really hard not to prefer.

How about subsonic, if that is your preferred type of round? Already limited by velocity, does the 350 have an answer for Blackout? Even with this being the preferred bullet for many of us with Blackout, 350 Legend has an answer. In 300 AAC, the heaviest sub I have ever seen in 230 grain, with 220 being the normal heavy, and 190/200 grain being the most common. Even for a best in class, 350 Legend easily trumps it. Winchester offers a 255 grain open tip sub from day one of the caliber.

Inserted here: data records:
Density functional theory data (PBE-GGA) for crystalline Tm3Ga5Ni at its relaxed geometry.

```
Tm3Ga5Ni
1.0
6.8283 0.0000 0.0000
-3.4142 5.9135 0.0000
0.0000 0.0000 4.1734
Tm Ga Ni
3 5 1
direct
0.0000 0.5911 0.0000
0.4089 0.4089 0.0000
0.5911 0.0000 0.0000
0.0000 0.2349 0.5000
0.2349 0.0000 0.5000
0.3333 0.6667 0.5000
0.6667 0.3333 0.5000
0.7651 0.7651 0.5000
0.0000 0.0000 0.0000
```

Space group = P-62m
Formation energy from the elements = -5.99 eV per formula unit

* * * * *

[1]
A relaxed Na3AlSn3P6O24 crystal. Source: Materials Project, functional PBE. Values from VASP.

## Properties
Formation energy = -2.617 eV/atom
Total energy after the MP2020 corrections = -803.4 eV for the cell shown
Total magnetization = 0.00 μB per formula unit
Total energy = -6.792 eV per atom

Quantum ESPRESSO input file:
```
&SYSTEM
  ibrav = 0, nat = 111, ntyp = 5
/
ATOMIC_SPECIES
O 16.00 O.upf
P 30.97 P.upf
Sn 118.71 Sn.upf
Al 26.98 Al.upf
Na 22.99 Na.upf
CELL_PARAMETERS angstrom
8.696 -0.007 0.000
-4.354 7.520 0.000
0.000 0.001 22.511
ATOMIC_POSITIONS angstrom
O 1.601 0.273 6.868
O 2.841 7.385 9.164
O 3.717 6.073 13.274
O 6.958 0.301 18.132
O -1.697 4.687 8.155
O 0.585 1.396 9.152
O -3.269 6.185 15.619
O -0.636 6.648 19.363
P 5.593 0.360 1.941
Sn -0.045 5.016 18.357
Al 4.400 2.498 4.178
P -2.586 5.081 9.366
O 4.963 6.065 2.015
O 7.662 1.305 6.941
O 3.418 3.743 20.740
O -1.741 5.320 10.642
O -0.620 3.552 5.786
O -0.939 6.293 5.757
O 5.242 1.288 16.645
Na 4.350 2.502 7.411
P 1.327 2.192 16.855
P 1.860 2.499 1.952
O 0.608 1.619 15.627
Na 4.386 2.444 18.749
P 5.611 5.266 16.842
P 7.368 2.137 5.670
O 0.554 3.374 10.586
O -3.456 6.310 9.138
O 1.549 4.778 13.081
P -1.277 7.219 20.652
O 1.748 4.760 19.312
O 1.565 0.185 13.271
O -2.652 7.258 4.371
O 1.084 3.644 8.076
O 3.720 1.041 14.404
O -1.103 3.645 19.362
P 1.326 7.204 9.365
O 2.654 7.197 15.649
P 1.266 2.765 9.337
O 0.580 6.472 1.832
Al 4.371 2.464 15.415
O -0.974 3.782 13.069
O 1.579 5.111 5.777
P 3.140 5.320 5.657
Sn 4.332 7.497 3.326
O 0.702 3.622 16.996
O 2.842 2.377 16.662
P 3.102 0.352 13.194
O -0.571 1.602 4.429
O 4.986 4.122 0.610
O 4.965 1.041 3.154
O 3.735 3.900 5.474
Al 4.362 7.465 7.873
Sn -0.003 5.028 11.720
O -1.566 4.783 1.832
O 1.131 1.351 18.129
O 7.738 1.253 13.262
O 5.299 3.768 3.152
O 3.379 1.305 5.469
P 3.095 4.658 13.204
O 0.930 6.265 17.003
O 3.417 6.270 20.516
O 6.094 2.262 11.821
Sn 0.003 0.016 14.560
O 7.128 0.189 2.025
O 4.933 3.896 16.653
Sn 0.003 0.013 19.184
O -1.556 5.158 16.985
O -0.627 3.420 21.898
Sn -0.006 5.011 0.506
O 5.912 2.695 14.374
O 1.671 5.261 21.866
O 5.055 1.113 9.504
P 6.116 0.064 16.859
Sn 4.346 2.504 22.121
O 3.738 6.005 6.889
O -1.077 6.348 21.897
O 5.882 2.672 20.751
O 0.938 1.258 2.024
O -0.588 6.469 13.086
Na 4.341 7.512 0.039
Na -4.312 7.460 11.225
O 3.724 1.093 20.751
O 3.709 4.115 11.896
O 0.608 6.636 8.136
O 1.126 6.356 10.641
Na 1.598 2.731 5.567
O 3.248 6.170 4.383
P 6.832 2.504 13.172
O 4.902 5.851 18.103
O 5.434 1.137 0.612
P 2.542 5.004 20.634

How about compared to the other monstrous AR-15 sized cartridges? Well, for kinetic energy, no point in dancing around that 458 SOCOM will absolutely blow the doors off 350 Legend. 458 SOCOM launches a 250-grain bullet at 2,150 fps, which dwarfs the Legend. And while it isn’t a straight wall cartridge, it is available for all the rest of us. But you are going to pay for it in recoil. Which is absolutely a consideration.

350 Legend first came to my attention as a round many of my friends had picked for young hunters, kids getting into the action. And the Legend does shine here. It packs maybe a bit more recoil than 7.62×39, but absolutely less than 6.8 SPC. Being crammed in a semi auto gas gun, it dampens the recoil even more so than a bolt action. Couple that with an adjustable buttstock, and you have a ready made youth sized gun. Enough power to knock down a deer inside 300 yards, but not so much to cause them to start flinching.
To put our trial gun (and caliber) to the test, we paired it with a Meopta Optika5. This is the first Meopta scope I have tried, and I left impressed. The glass is incredibly clear, which we should expect being made in the Czech Republic. For reference, that is also where Night Force spotting scopes were made not that many years ago. Czech’s know glass, without question. Our tester was a 3-15 power, suitable for the ranges at which 350 Legend is effective. Which is to say, generally about 300 yards, plus or minus. It had a simple duplex reticle that I would not normally recommend for tactical shooters, but perfect for inexperienced hunters. Nothing but a crosshair, which is also preferred by some seasoned hunters.

Data records from another source follow:
-- begin --
K10In5Sb9: relaxed, PBE-GGA. Values from VASP.

Output
- E_form: -455.8 meV/atom
- Total moment: 0.1 μB per formula unit

Cell and atoms, written as Quantum ESPRESSO input:
```
&SYSTEM
  ibrav = 0, nat = 96, ntyp = 3
/
ATOMIC_SPECIES
Sb 121.76 Sb.upf
In 114.82 In.upf
K 39.10 K.upf
ATOMIC_POSITIONS crystal
Sb 0.068 0.398 0.121
Sb 0.932 0.602 0.879
Sb 0.482 0.038 0.825
Sb 0.124 0.655 0.647
Sb 0.624 0.345 0.853
Sb 0.361 0.369 0.378
Sb 0.568 0.602 0.379
Sb 0.139 0.369 0.878
Sb 0.639 0.631 0.622
Sb 0.123 0.177 0.746
Sb 0.334 0.588 0.899
Sb 0.623 0.823 0.754
Sb 0.377 0.873 0.446
Sb 0.861 0.631 0.122
Sb 0.877 0.127 0.054
Sb 0.125 0.099 0.556
Sb 0.666 0.412 0.101
Sb 0.432 0.398 0.621
Sb 0.982 0.962 0.675
Sb 0.123 0.873 0.946
Sb 0.834 0.412 0.601
Sb 0.166 0.588 0.399
Sb 0.375 0.099 0.056
Sb 0.377 0.177 0.246
Sb 0.770 0.034 0.823
Sb 0.623 0.127 0.554
Sb 0.376 0.655 0.147
Sb 0.875 0.901 0.444
Sb 0.018 0.038 0.325
Sb 0.230 0.966 0.177
Sb 0.270 0.966 0.677
Sb 0.730 0.034 0.323
Sb 0.518 0.962 0.175
Sb 0.877 0.823 0.254
Sb 0.876 0.345 0.353
Sb 0.625 0.901 0.944
In 0.222 0.533 0.276
In 0.722 0.467 0.224
In 0.501 0.008 0.307
In 0.869 0.508 0.052
In 0.520 0.520 0.271
In 0.020 0.480 0.229
In 0.480 0.480 0.729
In 0.778 0.467 0.724
In 0.131 0.492 0.948
In 0.749 0.988 0.190
In 0.999 0.008 0.807
In 0.249 0.012 0.310
In 0.499 0.992 0.693
In 0.751 0.988 0.690
In 0.369 0.492 0.448
In 0.251 0.012 0.810
In 0.278 0.533 0.776
In 0.631 0.508 0.552
In 0.980 0.520 0.771
In 0.001 0.992 0.193
K 0.140 0.636 0.035
K 0.597 0.643 0.024
K 0.406 0.752 0.677
K 0.353 0.208 0.605
K 0.647 0.792 0.395
K 0.390 0.800 0.890
K 0.903 0.643 0.524
K 0.853 0.792 0.895
K 0.594 0.248 0.323
K 0.134 0.754 0.786
K 0.110 0.800 0.390
K 0.906 0.248 0.823
K 0.864 0.562 0.357
K 0.351 0.240 0.827
K 0.640 0.364 0.465
K 0.867 0.096 0.464
K 0.360 0.636 0.535
K 0.634 0.246 0.714
K 0.094 0.752 0.177
K 0.380 0.080 0.467
K 0.147 0.208 0.105
K 0.866 0.246 0.214
K 0.636 0.562 0.857
K 0.880 0.920 0.033
K 0.633 0.096 0.964
K 0.890 0.200 0.610
K 0.097 0.357 0.476
K 0.120 0.080 0.967
K 0.133 0.904 0.536
K 0.649 0.760 0.173
K 0.364 0.438 0.143
K 0.136 0.438 0.643
K 0.403 0.357 0.976
K 0.851 0.760 0.673
K 0.620 0.920 0.533
K 0.610 0.200 0.110
K 0.366 0.754 0.286
K 0.367 0.904 0.036
K 0.860 0.364 0.965
K 0.149 0.240 0.327
CELL_PARAMETERS angstrom
-8.142 0.834 9.494
6.878 -13.931 7.121
14.390 1.536 12.205
```
-- stop --
Here the entry continues:

Accuracy at 100 yards for zero was roughly 1 inch, for a 3 round group. Considering the ammo crunch we are all in, which affects even those of us on the typewriter monkey side, I’m comfortable with that. I consider a 3 round group fair for a hunting gun, though we usually do 5 round groups on tactical or precision guns. 1 MOA is perfectly acceptable for most hunting, and if it isn’t, you shouldn’t be using a 350 Legend anyway.
Shooting at a distance with a limited range cartridge feels a little silly in the open desert, as I am sure you can tell from the video. 300 yards looks close enough to spit at in my home environment, but it is still great for many places. All of you that hunt in the woods or the swampy south know just how difficult it can be to find a shot farther than that. And considering all the potential deflecting branches and brush between you and the target, that 300 can be a very long way indeed.
With my Hornady 4DOF Kestrel telling me we had 20 inches of drop, we started blasting at a B/C zone at a little past 300. And not only was the 350 Legend easy to keep on target, but it still hits like a sledgehammer at that range.
In the CMMG AR platform, this one is a force to be reckoned with. If you are ready to step away from the 30-30 lever action or get a younger shooter into the mix, this is an absolutely fantastic package. 350 Legend is here to stay, and my prediction is it will be harvesting bucks for a good long time to come.
Also the legend is much cheaper to shoot than the 300bo and wont see any blown up 556 barrels on line from it.
7-15 rounds to drop somebody???? Hmmmm, I did it with 1-2 in Vietnam, I guess I must be “old school”
“Winchester offers a 255 grain open tip sub from day one of the caliber.”
Well it might been shown in the catalog on day one but Winchester didn’t start shipping until over a year after the announcement.
I read this and it makes me want to chamber an AR10 in 35 Remington.
I’m confused, did you really say it requires 7-15 rounds of 5.56 to put someone down? And that is military doctrine? And I read this right after I read your article on urban defense where you stated you have shot people with both 7.62 and 5.56, and they both work. 7-15 rounds doesn’t sound like it works. Help me understand this…
Another victim to the “legend” cool aide. : ) It’s nothing but a 9mm Luger on a flimsy case at the end of the day. But if you click your heels and wish it to be .357–well, OK then!
Disappointed you compared the Socom to the 350. Why not the 450 Bushy. Have been using one for a number of years now in Michigan out of a custom TC Encore. Wow what a great round for hunting. It even beats the Socom ballistics. Plus the .452 pistol bullets expand fantastic compared to the heavier built .458 bullets of the Socom. I hunted for several years with a 45-70 but at velocities around 1800-2000 the bullets were just poking holes not expanding much at all in deer sized game.